-- begin --
Entry 1:
This record from OMol25 describes a cluster of 12 separate species, C63H127F15N6O17S4 in total at a distorted geometry. The level of theory is ωB97M-V with the def2-TZVPD basis set.

The geometry in ORCA input format:
```
! RIJCOSX wB97M-V def2-TZVPD def2/J DEFGRID3
* xyz 0 1
S 1.221 -4.704 -5.629
S -0.450 -1.333 3.741
S -6.678 2.056 3.784
S 0.067 6.487 1.973
F -0.563 -4.528 -7.573
F 3.913 0.751 -3.474
F -2.700 -2.376 4.638
F 6.054 0.606 -3.544
F -7.234 0.589 5.938
F -1.221 -5.571 -5.816
F -5.619 -0.237 4.678
F -0.975 -2.713 5.880
F 1.023 8.294 0.483
F -5.249 1.357 6.059
F 1.984 6.328 0.188
F -1.952 -0.809 5.898
F -1.168 -3.358 -5.826
F 0.043 6.739 -0.688
F 4.815 -1.022 -2.697
O -0.042 4.977 1.867
O -5.546 1.840 2.885
O 4.005 0.350 -0.494
O -1.371 -0.665 2.804
O -3.031 0.349 -5.044
O 1.041 6.908 2.986
O 1.641 -5.925 -6.277
O -6.792 3.328 4.448
O -1.194 7.178 2.027
O -1.860 1.815 -3.836
O 4.854 2.293 -1.548
O 1.923 -3.531 -6.089
O -7.908 1.474 3.291
O -0.005 -2.663 3.296
O 1.102 -4.780 -4.189
O 0.635 -0.585 4.309
O -3.619 0.763 -2.932
N -1.627 5.487 5.751
N 2.251 -7.620 -2.701
N -0.038 2.037 -0.357
N 3.865 -0.930 2.753
N -5.553 -0.988 0.099
N 1.250 1.675 -6.100
C 0.817 6.966 0.362
C -0.006 -1.526 -1.770
C 3.622 -1.150 4.196
C -1.897 5.314 7.115
C -0.702 6.624 5.669
C -3.860 -2.239 1.452
C 2.184 2.578 -5.368
C 5.973 -2.346 2.471
C -0.498 9.010 4.949
C -3.179 -2.752 0.170
C 2.713 -2.586 6.016
C 2.242 -9.022 -4.812
C -4.592 -0.975 1.288
C -4.884 -1.604 -1.120
C -7.579 -1.154 1.589
C 0.353 -0.438 -0.720
C 0.759 -7.608 -2.693
C -4.223 -2.969 -0.883
C 2.856 -6.332 -2.198
C 5.074 4.516 -0.897
C 1.086 0.328 -8.286
C 4.947 0.339 -2.748
C 3.062 -2.483 4.511
C 6.811 -1.176 2.133
C -1.293 8.065 5.889
C 0.646 -0.983 -7.567
C 2.661 4.032 -3.510
C -1.607 -1.824 5.115
C 2.747 -8.705 -1.776
C 1.437 2.338 -0.291
C -0.595 1.829 1.084
C 3.383 -4.628 -0.544
C -2.740 1.018 -4.091
C 4.955 0.831 -1.271
C -6.137 0.869 5.175
C 2.417 -5.829 -0.844
C -0.538 -4.484 -6.210
C 0.728 -8.822 -4.864
C 2.859 -7.848 -4.069
C -0.841 4.340 5.202
C -2.093 1.852 1.182
C 0.083 -0.568 -6.117
C 2.549 -0.712 2.059
C -0.101 2.383 -6.379
C -7.940 -2.255 2.551
C -2.837 5.644 4.793
C -1.627 3.028 5.097
C 0.139 -8.764 -3.418
C -3.669 4.323 4.779
C 1.035 0.330 -5.337
C 4.539 -2.115 2.097
C -5.764 0.459 -0.280
C 1.795 2.834 -3.924
C 4.925 3.061 -0.414
C -2.201 3.314 -0.840
C -0.276 0.880 -1.197
C -2.835 3.199 4.280
C -0.712 3.226 -0.916
C -6.856 -1.714 0.443
C 6.271 0.027 2.913
C 1.959 1.196 -7.350
C 4.816 0.222 2.495
C -2.697 3.142 0.616
H 2.431 4.922 -4.056
H 7.910 -1.204 2.329
H 0.744 -1.656 -2.567
H 0.072 6.390 6.468
H -2.347 4.067 1.126
H 6.279 -0.122 4.012
H 6.031 -2.542 3.500
H -2.709 -3.742 0.366
H 3.032 -0.359 4.570
H -4.216 0.106 -3.355
H 4.598 -1.226 4.667
H -6.459 0.353 -1.123
H 1.849 2.363 -1.328
H -0.839 2.266 4.840
H 3.814 -8.661 -1.763
H 4.112 4.869 -1.292
H -2.432 5.867 3.820
H 2.709 -9.029 -5.790
H 2.831 0.645 -6.960
H 6.013 0.684 -0.921
H -3.149 -2.045 2.226
H 2.423 -10.022 -4.392
H -7.037 -2.825 2.946
H -0.862 10.000 5.132
H 4.630 -2.024 0.990
H -0.986 -1.361 -2.231
H 0.709 3.078 -3.991
H -2.321 8.071 5.575
H 0.300 -9.664 -2.845
H -0.091 -0.637 0.282
H -5.710 -1.598 -1.814
H -0.063 -2.514 -1.262
H -4.577 -3.069 1.686
H -2.001 2.781 6.100
H -0.116 0.972 1.483
H 3.869 -6.491 -2.183
H -4.528 4.451 4.133
H 6.721 -0.906 1.102
H 4.393 -4.951 -0.684
H 0.059 4.249 5.799
H 4.061 3.104 0.233
H -6.481 -2.723 0.601
H -0.016 -1.502 -5.572
H -5.001 -3.722 -0.605
H 2.708 4.232 -2.448
H -2.385 -2.018 -0.136
H -2.272 1.761 2.265
H 3.508 -2.514 6.696
H -0.190 6.622 4.691
H -1.348 0.747 -1.288
H -8.496 -1.803 3.371
H 0.252 0.916 -8.613
H 2.729 -6.943 -4.671
H -1.259 8.319 6.900
H 2.029 -0.078 -5.177
H 1.657 0.187 -9.218
H -2.739 2.604 -1.473
H -0.575 8.788 3.874
H 2.260 3.506 -5.896
H 3.825 -2.941 2.317
H -2.289 6.249 7.509
H 0.617 0.499 -4.335
H -3.770 -3.338 -1.858
H -3.870 -0.159 1.074
H 1.335 -1.811 -7.450
H 3.964 -7.879 -3.885
H 1.911 -1.886 6.285
-- stop --

Your job: type out the part of the lines further up that starts with the line with "6.059" and stops after the one with "-0.190 6.622".

F -5.249 1.357 6.059
F 1.984 6.328 0.188
F -1.952 -0.809 5.898
F -1.168 -3.358 -5.826
F 0.043 6.739 -0.688
F 4.815 -1.022 -2.697
O -0.042 4.977 1.867
O -5.546 1.840 2.885
O 4.005 0.350 -0.494
O -1.371 -0.665 2.804
O -3.031 0.349 -5.044
O 1.041 6.908 2.986
O 1.641 -5.925 -6.277
O -6.792 3.328 4.448
O -1.194 7.178 2.027
O -1.860 1.815 -3.836
O 4.854 2.293 -1.548
O 1.923 -3.531 -6.089
O -7.908 1.474 3.291
O -0.005 -2.663 3.296
O 1.102 -4.780 -4.189
O 0.635 -0.585 4.309
O -3.619 0.763 -2.932
N -1.627 5.487 5.751
N 2.251 -7.620 -2.701
N -0.038 2.037 -0.357
N 3.865 -0.930 2.753
N -5.553 -0.988 0.099
N 1.250 1.675 -6.100
C 0.817 6.966 0.362
C -0.006 -1.526 -1.770
C 3.622 -1.150 4.196
C -1.897 5.314 7.115
C -0.702 6.624 5.669
C -3.860 -2.239 1.452
C 2.184 2.578 -5.368
C 5.973 -2.346 2.471
C -0.498 9.010 4.949
C -3.179 -2.752 0.170
C 2.713 -2.586 6.016
C 2.242 -9.022 -4.812
C -4.592 -0.975 1.288
C -4.884 -1.604 -1.120
C -7.579 -1.154 1.589
C 0.353 -0.438 -0.720
C 0.759 -7.608 -2.693
C -4.223 -2.969 -0.883
C 2.856 -6.332 -2.198
C 5.074 4.516 -0.897
C 1.086 0.328 -8.286
C 4.947 0.339 -2.748
C 3.062 -2.483 4.511
C 6.811 -1.176 2.133
C -1.293 8.065 5.889
C 0.646 -0.983 -7.567
C 2.661 4.032 -3.510
C -1.607 -1.824 5.115
C 2.747 -8.705 -1.776
C 1.437 2.338 -0.291
C -0.595 1.829 1.084
C 3.383 -4.628 -0.544
C -2.740 1.018 -4.091
C 4.955 0.831 -1.271
C -6.137 0.869 5.175
C 2.417 -5.829 -0.844
C -0.538 -4.484 -6.210
C 0.728 -8.822 -4.864
C 2.859 -7.848 -4.069
C -0.841 4.340 5.202
C -2.093 1.852 1.182
C 0.083 -0.568 -6.117
C 2.549 -0.712 2.059
C -0.101 2.383 -6.379
C -7.940 -2.255 2.551
C -2.837 5.644 4.793
C -1.627 3.028 5.097
C 0.139 -8.764 -3.418
C -3.669 4.323 4.779
C 1.035 0.330 -5.337
C 4.539 -2.115 2.097
C -5.764 0.459 -0.280
C 1.795 2.834 -3.924
C 4.925 3.061 -0.414
C -2.201 3.314 -0.840
C -0.276 0.880 -1.197
C -2.835 3.199 4.280
C -0.712 3.226 -0.916
C -6.856 -1.714 0.443
C 6.271 0.027 2.913
C 1.959 1.196 -7.350
C 4.816 0.222 2.495
C -2.697 3.142 0.616
H 2.431 4.922 -4.056
H 7.910 -1.204 2.329
H 0.744 -1.656 -2.567
H 0.072 6.390 6.468
H -2.347 4.067 1.126
H 6.279 -0.122 4.012
H 6.031 -2.542 3.500
H -2.709 -3.742 0.366
H 3.032 -0.359 4.570
H -4.216 0.106 -3.355
H 4.598 -1.226 4.667
H -6.459 0.353 -1.123
H 1.849 2.363 -1.328
H -0.839 2.266 4.840
H 3.814 -8.661 -1.763
H 4.112 4.869 -1.292
H -2.432 5.867 3.820
H 2.709 -9.029 -5.790
H 2.831 0.645 -6.960
H 6.013 0.684 -0.921
H -3.149 -2.045 2.226
H 2.423 -10.022 -4.392
H -7.037 -2.825 2.946
H -0.862 10.000 5.132
H 4.630 -2.024 0.990
H -0.986 -1.361 -2.231
H 0.709 3.078 -3.991
H -2.321 8.071 5.575
H 0.300 -9.664 -2.845
H -0.091 -0.637 0.282
H -5.710 -1.598 -1.814
H -0.063 -2.514 -1.262
H -4.577 -3.069 1.686
H -2.001 2.781 6.100
H -0.116 0.972 1.483
H 3.869 -6.491 -2.183
H -4.528 4.451 4.133
H 6.721 -0.906 1.102
H 4.393 -4.951 -0.684
H 0.059 4.249 5.799
H 4.061 3.104 0.233
H -6.481 -2.723 0.601
H -0.016 -1.502 -5.572
H -5.001 -3.722 -0.605
H 2.708 4.232 -2.448
H -2.385 -2.018 -0.136
H -2.272 1.761 2.265
H 3.508 -2.514 6.696
H -0.190 6.622 4.691